Category Archives: library

Giving Thanks, Part I

There's my boy!

On this day before Thanksgiving, I’d especially like to express my gratitude to our local public library for employing the #1 son. He’s been working there for three weeks now, and he’s been gaining so much more than a paycheck.

Of course, what he likes best is the paycheck.

The books are the thing.

We hadn’t seen #1 in his new habitat yet, so the Mister, the #2 son, and I decided to visit him last night while he was working. #1 had specifically asked his younger brother to come see him.

No, not his mother, who went through 15 hours of excruciating labor pains to bear him. Just sayin’.

Hmmm . . . curious headgear

When we arrived in the children’s section where #1 works as a shelver, we could see him working at his cart putting books in order. As we got closer to him, I couldn’t help but notice something odd—what he was wearing on his head. The other day he had asked me if we had any ear warmers. Thinking he wanted one for a video, I gave him one I was able to find quickly.

Apparently, he did not want the ear warmer for a video! For there it was around his head. On closer inspection, I could see he was trying in vain to cover up a wire snaking from his ear through his shirt.

Me: “Are you listening to your iPod Touch?”

#1 son: “Why would I do that? It’s against the rules.”

Yes, it is against the rules! However, #1 is used to music filling his ears as often as possible. He doesn’t have to converse with anyone there, so he figured why not listen to tunes to make the time travel faster. Hope it doesn’t get him fired!

Two of my favorite children's books

+++
The following is a DFT calculation (PBE) of a geometry-optimized Ce2Fe5Si3 structure.

The structure belongs to space group Cmc2_1 (No. 36); the cell edges are 4.0094, 24.0885 and 6.0379 Å and the angles 90.00°, 90.00° and 90.00°. Symmetry generates all atoms from Ce at (0.0000, 0.0120, 0.0000), Ce at (0.0000, 0.3205, 0.9885), Fe at (0.0000, 0.1070, 0.6502), Fe at (0.0000, 0.2055, 0.7748), Fe at (0.0000, 0.2103, 0.1753), Fe at (0.0000, 0.3697, 0.4958), Fe at (0.0000, 0.4366, 0.8108), Si at (0.0000, 0.1153, 0.2354), Si at (0.0000, 0.2729, 0.4797) and Si at (0.0000, 0.4365, 0.2077).

The calculation puts the energy at -7.36 eV per atom.

* * * * *

#P
The following is a PBE calculation of a relaxed structure of Te2AsAu2, from Alexandria.

Cell and atoms, written as extended XYZ:
```
10
Lattice="8.005 0.000 0.000 0.000 8.005 0.000 0.000 0.000 3.824" Properties=species:S:1:pos:R:3 pbc="T T T"
Te 1.578 2.424 0.000
Te 2.424 6.427 0.000
Te 5.581 1.578 0.000
Te 6.427 5.581 0.000
As 0.000 0.000 0.000
As 4.002 4.002 0.000
Au 0.967 4.969 1.912
Au 3.035 0.967 1.912
Au 4.969 7.038 1.912
Au 7.038 3.035 1.912
```

Calculated values
- ρ (g cm⁻³) = 9.81
- space-group type = P4/mbm, No. 127


#Q
The following is a PBE calculation of a relaxed structure of Te2AsAu2, from Alexandria.

Cell and atoms, written as extended XYZ:
```
10
Lattice="7.624 0.000 0.000 0.000 7.624 0.000 0.000 0.000 3.967" Properties=species:S:1:pos:R:3 pbc="T T T"
Te 1.325 2.486 0.000
Te 2.486 6.298 0.000
Te 5.137 1.325 0.000
Te 6.298 5.137 0.000
As 0.000 0.000 1.984
As 3.812 3.812 1.984
Au 1.016 4.828 1.984
Au 2.796 1.016 1.984
Au 4.828 6.608 1.984
Au 6.608 2.796 1.984
```

Calculated values
- ρ (g cm⁻³) = 10.43
- space-group type = P4/mbm, No. 127


We find #P to be the most stable, with the next structure 59 meV per atom higher.


#P
The following is a PBE calculation of a relaxed structure of Te3AsAu, from Alexandria.

Cell and atoms, written as extended XYZ:
```
10
Lattice="5.857 0.000 0.000 0.001 5.861 0.000 2.491 0.008 8.507" Properties=species:S:1:pos:R:3 pbc="T T T"
Te 0.000 0.000 0.000
Te 2.431 2.936 5.804
Te 2.668 1.178 3.057
Te 2.798 2.653 0.234
Te 5.492 5.589 5.570
Te 5.623 4.104 2.741
As 2.653 0.011 0.652
As 5.636 2.947 5.152
Au 2.584 5.849 5.642
Au 5.706 2.913 0.160
```

Calculated values
- ρ (g cm⁻³) = 7.45
- space-group type = P1, No. 1


#Q
The following is a PBE calculation of a relaxed structure of Te3AsAu, from Alexandria.

Cell and atoms, written as extended XYZ:
```
5
Lattice="5.384 0.000 0.000 0.000 5.384 0.000 0.000 0.000 5.384" Properties=species:S:1:pos:R:3 pbc="T T T"
Te 0.000 0.000 2.692
Te 0.000 2.692 0.000
Te 2.692 0.000 0.000
As 2.692 2.692 2.692
Au 0.000 0.000 0.000
```

Calculated values
- ρ (g cm⁻³) = 6.97
- space-group type = Pm-3m, No. 221


We find #P to be the most stable, with the next structure 628 meV per atom higher.


#P
The following is a PBE calculation of a relaxed structure of Te2As2Au, from Alexandria.

Cell and atoms, written as extended XYZ:
+++
**Back to the piece:**

Lovin’ the library

I’ve always loved the library. Back in the day, my two older sisters, my little brother, my mom, and I would walk what probably was three miles to the library, check out books, and walk back home (my mom didn’t drive). It’s one of my favorite memories! There was no money to buy books, so we were very grateful for the library, because we loved to read.

Curious George . . . on steroids, apparently

When I was a kid, I pretty much lived in the children’s section of the library. My mom would go off to the adult side with its books filled with tiny print and no pictures. Intriguing but not as much fun.

Everyone loves Franklin!

Walking around the young adult part of our local library showed how much it was still the same (there’s no changing that Dewey decimal system) yet so different (computers are a hot ticket for the kids to use, plus there are audio books and videos to check out as well as books).

#1 looks at a Nicolas Flamel book that he's about to shelve.

It’s still a fascinating place for the kids, as well as the perfect spot for my #1 son to learn and gain confidence as a worker. And for that I’m extremely grateful.

These two characters

I’m also giving thanks that my sons get along so well . . . most of the time. Like any siblings they fight, occasionally with wrestling. But for the most part they enjoy each other’s company and like hanging out together.

Brothers who genuinely like each other? It doesn’t get any better than this!